



Can anyone recommend a public code repository? A few friends and I are thinking of starting a few projects for iPhone, web, Android, etc., and it would be nice to have a public (internet) code repository to use that would work well on any platform (Mac, PC, Linux). Any type of repository is fine (SVN, CVS, Git, etc.).

A few ideas are Sourceforge or Google Code. Any recommendations? Thanks

+1  A: 

### Misplaced records of molecules
┌──
No. 1
└──

If your projects are open source then Google Code is very easy to set up and use - much easier than SourceForge. The version control offered is Subversion - I would guess they will get around to supporting git soon. There's a FAQ describing the service here.

Also, even if you don't use GC, it's worth considering starting a group on Google Groups to act a s a suport/discussion forum for your project.

(1)
Computed, not measured: a structure of composition C6H20N3NiO in a non-equilibrium geometry, with ωB97M-V/def2-TZVPD.

Geometry as XYZ:
```
31
Properties=species:S:1:pos:R:3
C -0.413 -0.123 -3.254
Ni -1.659 -1.269 -2.305
N -0.832 -2.363 -0.896
H -2.890 -2.252 -2.816
H 0.161 -2.108 -0.907
H -2.861 -2.301 -1.999
H 0.002 -0.769 -4.053
H 0.389 0.218 -2.571
H -0.895 0.757 -3.719
H -1.175 -2.197 0.060
H -0.944 -3.364 -1.077
C 2.981 0.033 1.055
N 1.684 0.512 1.481
C 1.653 1.345 2.661
C 0.739 0.408 0.490
O 1.117 -0.112 -0.578
N -0.562 0.821 0.681
C -1.161 1.103 1.963
C -1.400 0.924 -0.479
H 3.698 0.175 1.871
H 3.327 0.564 0.155
H 2.917 -1.032 0.790
H 1.255 2.346 2.452
H 1.069 0.885 3.468
H 2.686 1.449 3.008
H -0.882 2.099 2.328
H -2.246 1.083 1.842
H -0.891 0.348 2.708
H -0.991 1.669 -1.173
H -1.473 -0.073 -1.034
H -2.404 1.223 -0.153
```

Properties
charge = -1
2S+1 = 3
LUMO level (spin up / spin down) = 3.43 / 3.49 eV

(2)
Computed, not measured: a cluster of 3 separate species, C26H50ClF4N2O6P in total in a non-equilibrium geometry, with ωB97M-V/def2-TZVPD.

Geometry as XYZ:
```
90
Properties=species:S:1:pos:R:3
C -1.480 3.340 3.486
O -2.420 2.574 2.766
C -2.514 3.015 1.428
C -3.689 2.326 0.723
C -4.156 1.040 1.403
C -3.138 -0.132 1.360
C -3.912 -1.446 1.438
C -4.644 -1.550 2.804
C -6.101 -1.838 2.689
F -6.875 -1.282 3.664
C -6.690 -2.690 1.802
F -6.804 -2.447 0.506
F -7.224 -3.859 2.112
O -2.368 0.036 0.183
C -1.314 -0.863 -0.129
C -1.851 -2.152 -0.822
C -1.297 -2.375 -2.220
F -1.701 -3.296 -0.050
C -0.235 -1.101 0.953
O -0.732 -1.835 2.058
N 1.002 -1.733 0.524
C 1.606 -1.308 -0.717
N 3.067 -1.207 -0.644
C 1.222 -3.139 0.848
C 2.113 -3.497 2.068
C 3.280 -2.532 2.334
C 1.297 -3.802 3.337
P 0.152 0.639 1.672
O 1.171 1.264 0.556
Cl 1.410 0.155 3.245
H -1.916 4.285 3.823
H -1.125 2.764 4.339
H -0.610 3.565 2.859
H -2.684 4.100 1.438
H -1.586 2.844 0.870
H -4.531 3.024 0.769
H -3.492 2.180 -0.337
H -4.433 1.272 2.426
H -5.024 0.688 0.838
H -2.561 -0.047 2.287
H -3.197 -2.268 1.423
H -4.583 -1.583 0.593
H -4.226 -2.412 3.335
H -4.456 -0.684 3.438
H -0.801 -0.349 -0.946
H -2.918 -1.967 -0.959
H -0.386 -2.971 -2.217
H -1.135 -1.431 -2.738

+1 google code extremely easy to setup, compared to sourceforge.
+7  A: is my preferred one.

Free for open source projects and inexpensive for private projects.

If you don't know Git already, you will likely enjoy it very much once you learn the basics.

There are guides on setting it up for each platform on the site.

+1  A: 

github is another choice.

+4  A: 

GitHub provides fantastic Git hosting and BitBucket has a similar service for Mercurial.

Matt Good
+2  A: 

........
*w*
An isolated molecule of C4H12N2S2, computed with ωB97M-V/def2-TZVPD.

XYZ file:
```
20
Properties=species:S:1:pos:R:3:lowdin_charge:R:1
N -1.876 -0.482 3.787 0.01
C -1.532 -1.256 2.562 -0.32
C -1.606 -0.473 1.156 -0.52
S -0.195 0.775 1.045 0.44
S 1.348 -0.425 0.114 0.46
C 1.239 -0.151 -1.717 -0.59
C 1.878 1.140 -2.243 -0.33
N 1.601 1.344 -3.716 -0.01
H -1.125 -0.074 4.211 0.01
H -2.713 -0.716 4.295 0.06
H -0.508 -1.685 2.673 0.10
H -2.238 -2.079 2.384 0.10
H -1.695 -1.143 0.292 0.06
H -2.521 0.131 1.072 0.05
H 0.237 -0.397 -2.118 0.07
H 1.811 -1.074 -2.067 0.08
H 2.965 0.904 -2.088 0.11
H 1.450 1.974 -1.593 0.11
H 1.032 2.169 -3.811 0.05
H 2.446 1.517 -4.238 0.05
```

Output
SMILES: NCCSSCCN
Total charge: 0
Orbital gap in eV: 9.392
LUMO level in eV: 0.735



*x*
A cluster of 2 separate species, C4H12N2S2 in total, computed with ωB97M-V/def2-TZVPD.

XYZ file:
```
20
Properties=species:S:1:pos:R:3:lowdin_charge:R:1
S 0.302 1.935 -2.207 0.54
S 0.959 1.026 1.510 0.76
C -0.413 1.024 0.449 -0.71
C -0.578 -0.266 -0.398 -0.52
C -0.699 -1.545 0.497 -0.23
N 0.617 -2.035 0.836 -0.12
C 0.586 -2.797 2.103 -0.12
N -1.621 -0.106 -1.369 0.02
H -0.266 2.736 -3.119 -0.24
H -0.217 1.836 -0.334 -0.06
H -1.329 1.306 0.985 0.09
H 0.377 -0.412 -0.894 0.10
H -1.294 -2.221 -0.127 0.12
H -1.290 -1.251 1.391 0.12
H 1.117 -1.177 1.094 -0.01
H 0.077 -3.739 1.921 0.08
H 0.055 -2.262 2.889 0.07
H 1.622 -2.970 2.375 0.08
H -2.321 0.514 -0.930 0.09
H -1.155 0.512 -2.042 -0.07
```

Output
Total charge: 0
Orbital gap in eV: 5.203
LUMO level in eV: -3.708



Stability, highest: *w*



*w*
A cluster of 2 separate species, CN2O3S in total, computed with ωB97M-V/def2-TZVPD.

XYZ file:
```
7
Properties=species:S:1:pos:R:3:lowdin_charge:R:1
C 0.555 0.495 1.250 -0.26
N 0.788 1.391 1.919 0.23
N 0.127 -0.595 0.670 -0.04
O -2.602 0.157 -1.803 -0.41
O 0.750 -1.519 0.138 0.05
O -0.305 0.459 -2.347 -0.41
S -1.299 -0.431 -1.903 0.84
```

Output
Total charge: 0
Orbital gap (alpha / beta) in eV: 8.233 / 8.223
LUMO level (alpha / beta) in eV: -2.948 / -2.973



*x*
A structure of composition CN2O3S, computed with ωB97M-V/def2-TZVPD.

XYZ file:
```
7
Properties=species:S:1:pos:R:3:lowdin_charge:R:1
C -2.265 -0.109 -0.029 -0.47
N -3.240 -0.152 0.530 0.17
N 1.968 -0.208 0.029 -0.44
O 1.854 -1.115 -0.657 0.17
O 2.746 0.378 0.619 0.14
O -1.116 0.088 -0.579 -0.46
S 0.052 1.117 0.087 0.89
```

Output
Total charge: 0
Orbital gap (alpha / beta) in eV: 7.896 / 7.953
LUMO level (alpha / beta) in eV: -2.234 / -2.192



Stability, highest: *w*


Record 1
Formula: C2F4
Source: the OMol25 dataset
Level of theory: ωB97M-V/def2-TZVPD

* HOMO level: -10.01 eV
* energy relative to the best compared isomer or geometry (same formula, charge and spin): 0.1 kJ/mol
* gap between HOMO and LUMO: 10.8 eV
* lowest unoccupied orbital energy: 0.8 eV

```
! wB97M-V def2-TZVPD RIJCOSX def2/J DEFGRID3
* xyz 0 1
F 1.37907 -1.10475 -0.00071
C 0.65995 0.00029 -0.00065
F 1.38757 1.09989 -0.00073
C -0.65824 -0.00750 0.00546
........

I highly recommend, i've been using it a while now and i've had a great experience so far, but with everything I would try out the other answers and see which fits your needs best. It's main advantage is its free and you get 2 private repositories so you don't have to make your code open-source if you don't want to. (As of 28/05/2010)

Lee Treveil
+2  A: 

I like GitHub (git) and Assembla (svn). Both have free public plans with paid options for private repositories. The rates for private repositories are comparable.

+4  A: 

Google Code is nice and easy to set up, but you should be aware that it only allows a limited set of licenses. It allows Apache 2.0, Artistic/GPL, Eclipse 1.0, GPL v2, GPL v3, LGPL, MIT, MPL 1.1, and New BSD. These are probably enough for most projects, however.


You might want to check out origo. They offer a subversion repository, a wiki and an issue tracker.

It is free for both open source and closed source (private) projects.

+4  A: 

You can try github. If your project is open source then its free, else you can check the pricing page in the web site.

On another note, github doesn't have issue tracking, mailing lists, which made the subtext guys to move for Google Code.

On the other hand if you can integrate your project with Lighthouse, which is free for open source. And integrate github with Lighthouse with their web-hooks.


A few years ago I had the same problem, so I made my own. It's not pretty and not fancy but it works. The admin interface is at


I'll put up another vote for and with it, git.

Why? this, for starters. I switched from svn in my local development, because it's faster and the branch management is awesome.

+1  A: 

Beanstalk offer free/paid Subversion hosting. Their free plan is limited to 100 MB, 3 users, and 1 repository. I haven't used it myself, but the UI looks very nice, and it is recommended by the Versions team.

You may also find this thread helpful.


Steve Harrison
+3  A: 

I recommend you to use Assembla. You can choose between a lot of repositories options.


* [Subversion - with secure EC2 hosting, beautiful browser][2]
* [Git - with the beautiful browser][3]
* Mercurial
* Github
* Your SVN server

Tickets / Issues

* Assembla agile Ticket and Issue tracker
* Trac, enhanced with team and alert management


* Assembla Wiki
* Assembla Messages
* Assembla Files
* Assembla Chat
* Trac Wiki

Time Tracking

* Project time report
* Rollup time report
* Burndown chart
* Desktop time tracker


* Visible activity stream with email alerts and RSS
* Scrum report
* Project templates
* Branded home pages and spaces
* Portfolio reports


* Webhooks - post to any REST interface
* Twitter
* Eclipse Mylyn
* External SVN, Github